Material =
'''
# TbCo5

Crystalline TbCo5 at its relaxed geometry (PBE, the Materials Project database).

Geometry as POSCAR:
```
TbCo5
1.0
4.9312 0.0000 0.0000
-2.4656 4.2706 0.0000
0.0000 0.0000 3.9474
Tb Co
1 5
Direct
0.0000 0.0000 0.0000 Tb
0.0000 0.5000 0.5000 Co
0.3333 0.6667 0.0000 Co
0.5000 0.0000 0.5000 Co
0.5000 0.5000 0.5000 Co
0.6667 0.3333 0.0000 Co
```

Symmetry: P6/mmm, No. 191
Formation energy (eV per atom): -0.105
Uncorrected energy (eV per atom): -6.800



# Sn2S3O12

Crystalline Sn2S3O12 at its relaxed geometry (PBE, the Materials Project database).

Geometry as POSCAR:
```
Sn2S3O12
1.0
4.3325 2.5014 8.2151
-4.3325 2.5014 8.2151
0.0000 -5.0027 8.2151
Sn S O
4 6 24
Direct
0.1411 0.1411 0.1411 Sn
0.3443 0.3443 0.3443 Sn
0.6557 0.6557 0.6557 Sn
0.8589 0.8589 0.8589 Sn
0.0526 0.7313 0.4463 S
0.2687 0.5537 0.9474 S
0.4463 0.0526 0.7313 S
0.5537 0.9474 0.2687 S
0.7313 0.4463 0.0526 S
0.9474 0.2687 0.5537 S
0.0395 0.7760 0.5755 O
0.1356 0.8391 0.2500 O
0.1406 0.2298 0.5219 O
0.1609 0.7500 0.8644 O
0.1668 0.5235 0.4886 O
0.2240 0.4245 0.9605 O
0.2298 0.5219 0.1406 O
0.2500 0.1356 0.8391 O
0.4245 0.9605 0.2240 O
0.4765 0.5114 0.8332 O
0.4781 0.8594 0.7702 O
0.4886 0.1668 0.5235 O
0.5114 0.8332 0.4765 O
0.5219 0.1406 0.2298 O
0.5235 0.4886 0.1668 O
0.5755 0.0395 0.7760 O
0.7500 0.8644 0.1609 O
0.7702 0.4781 0.8594 O
0.7760 0.5755 0.0395 O
0.8332 0.4765 0.5114 O
0.8391 0.2500 0.1356 O
0.8594 0.7702 0.4781 O
0.8644 0.1609 0.7500 O
0.9605 0.2240 0.4245 O
```

Symmetry: R-3, No. 148
Formation energy (eV per atom): -1.840
Uncorrected energy (eV per atom): -6.049



# Nb12I21Br

Crystalline Nb12I21Br at its relaxed geometry (PBE, the Materials Project database).

Geometry as POSCAR:
```
Nb12I21Br
1.0
11.7137 0.0000 0.0000
0.0000 15.5219 0.0000
0.0000 0.0000 13.8618
Nb I Br
24 42 2
Direct
0.1203 0.2008 0.0000 Nb
0.1203 0.7992 0.5000 Nb
0.1492 0.3579 0.8998 Nb
0.1492 0.6421 0.3998 Nb
0.1815 0.2012 0.7994 Nb
0.1815 0.7988 0.2994 Nb
0.3155 0.3036 0.0426 Nb
0.3155 0.6964 0.5426 Nb
0.3461 0.1475 0.9433 Nb
0.3461 0.8525 0.4433 Nb
0.3753 0.3039 0.8417 Nb
0.3753 0.6961 0.3417 Nb
0.6247 0.3039 0.3417 Nb
0.6247 0.6961 0.8417 Nb
0.6539 0.1475 0.4433 Nb
0.6539 0.8525 0.9433 Nb
0.6845 0.3036 0.5426 Nb
0.6845 0.6964 0.0426 Nb
0.8185 0.2012 0.2994 Nb
0.8185 0.7988 0.7994 Nb
0.8508 0.3579 0.3998 Nb
0.8508 0.6421 0.8998 Nb
0.8797 0.2008 0.5000 Nb
0.8797 0.7992 0.0000 Nb
0.0460 0.2491 0.3568 I
0.0460 0.7509 0.8568 I
0.0754 0.1310 0.6178 I
0.0754 0.8690 0.1178 I
0.0933 0.3637 0.1018 I
0.0933 0.6363 0.6018 I
0.1560 0.0372 0.8986 I
0.1560 0.9628 0.3986 I
0.2165 0.3642 0.6989 I
0.2165 0.6358 0.1989 I
0.2777 0.1416 0.1442 I
0.2777 0.8584 0.6442 I
0.3406 0.4674 0.9434 I
0.3406 0.5326 0.4434 I
0.4042 0.1402 0.7418 I
0.4042 0.8598 0.2418 I
0.4275 0.3713 0.2230 I
0.4275 0.6287 0.7230 I
0.4576 0.2561 0.4840 I
0.4576 0.7439 0.9840 I
0.5000 0.0000 0.4928 I
0.5000 0.0000 0.9928 I
0.5424 0.2561 0.9840 I
0.5424 0.7439 0.4840 I
0.5725 0.3713 0.7230 I
0.5725 0.6287 0.2230 I
0.5958 0.1402 0.2418 I
0.5958 0.8598 0.7418 I
0.6594 0.4674 0.4434 I
0.6594 0.5326 0.9434 I
0.7223 0.1416 0.6442 I
0.7223 0.8584 0.1442 I
0.7835 0.3642 0.1989 I
0.7835 0.6358 0.6989 I
0.8440 0.0372 0.3986 I
0.8440 0.9628 0.8986 I
0.9067 0.3637 0.6018 I
0.9067 0.6363 0.1018 I
0.9246 0.1310 0.1178 I
0.9246 0.8690 0.6178 I
0.9540 0.2491 0.8568 I
0.9540 0.7509 0.3568 I
0.0000 0.5000 0.3630 Br
0.0000 0.5000 0.8630 Br
```

Symmetry: Pcc2, No. 27
Formation energy (eV per atom): -0.480
Uncorrected energy (eV per atom): -5.018



# Na3Sc2P3O12

Crystalline Na3Sc2P3O12 at its relaxed geometry (PBE, the Materials Project database).

Geometry as POSCAR:
```
Na3Sc2P3O12
1.0
4.5728 2.6401 7.4533
-4.5728 2.6401 7.4533
0.0000 -5.2802 7.4533
Na Sc P O
6 4 6 24
Direct
0.1228 0.7500 0.3772 Na
0.2500 0.6228 0.8772 Na
0.3772 0.1228 0.7500 Na
0.6228 0.8772 0.2500 Na
0.7500 0.3772 0.1228 Na
0.8772 0.2500 0.6228 Na
0.1471 0.1471 0.1471 Sc
0.3529 0.3529 0.3529 Sc
0.6471 0.6471 0.6471 Sc
0.8529 0.8529 0.8529 Sc
'''

Work order =
Filter the material further up: keep the lines with the word "R-3".

Response =
Symmetry: R-3, No. 148